Brief:
Could you copy the lines underneath up to the one that holds "-2.466 -2.107", that line included?

Listing:
Entry 1:
The following is a quantum chemistry calculation of a molecular structure, C39H37BMgN13O2S2, from the OMol25 dataset.

Last column: Mulliken charge in e.
Positions of all 95 atoms, in Å:
Mg 0.346 0.147 0.249  1.64
C -0.589 1.805 3.900  -1.36
C 0.758 1.564 3.309  0.81
C 1.996 1.502 3.975  -1.73
C 2.934 1.395 2.976  -0.18
N 2.283 1.414 1.795  1.42
N 0.942 1.489 1.995  -0.70
B 2.917 1.514 0.392  0.41
N 1.945 2.282 -0.543  1.04
C 2.248 3.327 -1.339  -0.12
C 1.076 3.822 -1.859  -1.84
C 0.062 3.007 -1.322  0.61
C -1.411 3.136 -1.503  -1.18
N 0.601 2.078 -0.542  -0.15
N 3.120 0.066 -0.101  0.70
C 4.120 -0.559 -0.744  -0.01
C 3.809 -1.901 -0.816  -1.73
C 2.560 -2.029 -0.190  0.67
C 1.760 -3.261 0.049  -1.29
N 2.148 -0.832 0.227  -0.25
N 4.207 2.322 0.502  1.07
C 4.291 3.521 1.129  -0.48
C 5.595 3.939 1.059  -1.35
C 6.262 2.913 0.356  0.65
C 7.712 2.833 0.003  -1.31
N 5.416 1.951 0.027  -1.39
H -0.572 2.720 4.494  0.49
H -0.889 0.988 4.555  0.20
H -1.326 1.918 3.106  0.15
H 2.177 1.524 5.036  0.48
H 4.008 1.319 3.028  0.66
H 3.266 3.654 -1.479  0.52
H 0.959 4.659 -2.526  0.48
H -1.707 4.182 -1.432  0.48
H -1.934 2.568 -0.737  -0.01
H -1.723 2.761 -2.478  0.25
H 4.995 -0.016 -1.054  0.61
H 4.406 -2.684 -1.252  0.52
H 2.411 -4.082 0.347  0.53
H 1.230 -3.565 -0.852  0.19
H 1.014 -3.091 0.826  0.01
H 3.421 3.982 1.570  0.59
H 6.017 4.847 1.456  0.40
H 8.221 3.753 0.283  0.36
H 7.842 2.671 -1.067  0.31
H 8.186 2.000 0.524  0.27
N -7.326 -2.647 -3.161  -0.54
C -6.059 -2.665 -2.623  1.09
C -4.948 -2.928 -3.435  -0.78
C -3.686 -3.003 -2.884  -0.53
C -3.528 -2.817 -1.518  -0.16
C -4.613 -2.556 -0.695  -0.56
C -5.873 -2.475 -1.247  -0.78
S -1.904 -2.869 -0.840  1.73
O -1.072 -3.746 -1.609  -0.74
O -2.013 -3.111 0.563  -0.75
N -1.287 -1.235 -1.070  1.01
C -0.444 -1.072 -2.203  -1.34
N 0.573 -0.243 -1.971  0.35
C 1.429 -0.051 -2.973  -0.05
C 1.275 -0.697 -4.184  -1.30
C 0.171 -1.516 -4.326  -0.78
N -0.706 -1.695 -3.338  0.03
H -7.407 -2.563 -4.159  0.20
H -8.057 -2.215 -2.627  0.20
H -5.090 -3.075 -4.499  0.31
H -2.810 -3.194 -3.488  0.43
H -4.457 -2.420 0.369  0.48
H -6.731 -2.269 -0.618  0.31
H 2.241 0.639 -2.781  0.40
H 1.979 -0.551 -4.991  0.48
H -0.045 -2.044 -5.246  0.53
S -3.139 -0.730 2.969  -0.54
C -1.718 -1.413 3.717  0.91
C -1.602 -2.003 4.963  -0.45
C -0.355 -2.464 5.363  -0.78
C 0.750 -2.318 4.527  -1.30
C 0.636 -1.726 3.282  0.05
C -0.613 -1.268 2.853  -1.18
N -0.885 -0.656 1.659  0.78
C -2.182 -0.343 1.542  0.62
C -2.808 0.125 0.360  -0.12
C -3.990 0.915 0.423  -0.27
C -4.632 1.341 -0.711  -1.26
C -4.140 1.001 -1.980  -1.33
C -3.012 0.202 -2.077  -0.17
C -2.341 -0.241 -0.946  0.81
H -2.466 -2.107 5.607  0.43
H -0.245 -2.942 6.327  0.40
H 1.717 -2.674 4.858  0.45
H 1.499 -1.603 2.640  0.50
H -4.359 1.198 1.402  0.47
H -5.524 1.950 -0.628  0.39
H -4.640 1.341 -2.877  0.45
H -2.670 -0.122 -3.053  0.41

Atomic forces in eV per Å
Mg -0.7227 0.2579 0.4372
C 0.0279 -0.1100 -0.0716
C 0.2014 0.1587 -0.0388
C 0.0291 -0.0590 0.0248
C -0.1034 -0.0132 0.0606
N 0.2118 0.2974 0.1056
N 0.2912 0.0790 0.4407
B 0.1603 0.0367 0.1753
N 0.0904 0.2162 -0.0573
C -0.1553 0.0546 -0.1252
C 0.0266 -0.0493 -0.0330
C 0.1763 0.0563 0.0738
C 0.0940 -0.1209 -0.0079
N 0.0622 0.5388 -0.4461
N 0.3019 -0.1737 -0.2119
C -0.1002 -0.1739 0.0513
C -0.0625 -0.0076 -0.0815
C 0.1982 0.1612 0.0504
C -0.1476 0.0851 -0.0684
N 0.6606 -0.2710 0.1381
N -0.0768 0.0502 0.1719
C 0.0384 -0.0231 -0.0593
C 0.0106 0.0417 -0.0002
C -0.1332 0.0871 0.0302
C -0.0738 -0.1046 -0.0056
N 0.1344 -0.1158 -0.1486
H -0.0207 0.0164 -0.0185
H -0.0302 -0.0278 0.0045
H -0.0560 -0.0359 0.0423
H -0.0276 0.0244 -0.0040
H -0.0086 0.0614 -0.0552
H 0.0042 -0.0250 0.0930
H -0.0128 0.0160 0.0256
H -0.0138 0.0004 0.0036
H -0.0928 0.0065 -0.0131
H -0.0505 0.0044 -0.0043
H 0.0001 0.0481 0.0318
H 0.0014 -0.0134 0.0400
H -0.0157 -0.0017 0.0485
H -0.0379 -0.0686 -0.0638
H -0.0031 -0.0619 0.0073
H 0.0064 -0.0275 0.0181
H -0.0141 -0.0041 -0.0004
H 0.0338 -0.0054 -0.0151
H 0.0241 0.0204 0.0037

Completed:
Entry 1:
The following is a quantum chemistry calculation of a molecular structure, C39H37BMgN13O2S2, from the OMol25 dataset.

Last column: Mulliken charge in e.
Positions of all 95 atoms, in Å:
Mg 0.346 0.147 0.249  1.64
C -0.589 1.805 3.900  -1.36
C 0.758 1.564 3.309  0.81
C 1.996 1.502 3.975  -1.73
C 2.934 1.395 2.976  -0.18
N 2.283 1.414 1.795  1.42
N 0.942 1.489 1.995  -0.70
B 2.917 1.514 0.392  0.41
N 1.945 2.282 -0.543  1.04
C 2.248 3.327 -1.339  -0.12
C 1.076 3.822 -1.859  -1.84
C 0.062 3.007 -1.322  0.61
C -1.411 3.136 -1.503  -1.18
N 0.601 2.078 -0.542  -0.15
N 3.120 0.066 -0.101  0.70
C 4.120 -0.559 -0.744  -0.01
C 3.809 -1.901 -0.816  -1.73
C 2.560 -2.029 -0.190  0.67
C 1.760 -3.261 0.049  -1.29
N 2.148 -0.832 0.227  -0.25
N 4.207 2.322 0.502  1.07
C 4.291 3.521 1.129  -0.48
C 5.595 3.939 1.059  -1.35
C 6.262 2.913 0.356  0.65
C 7.712 2.833 0.003  -1.31
N 5.416 1.951 0.027  -1.39
H -0.572 2.720 4.494  0.49
H -0.889 0.988 4.555  0.20
H -1.326 1.918 3.106  0.15
H 2.177 1.524 5.036  0.48
H 4.008 1.319 3.028  0.66
H 3.266 3.654 -1.479  0.52
H 0.959 4.659 -2.526  0.48
H -1.707 4.182 -1.432  0.48
H -1.934 2.568 -0.737  -0.01
H -1.723 2.761 -2.478  0.25
H 4.995 -0.016 -1.054  0.61
H 4.406 -2.684 -1.252  0.52
H 2.411 -4.082 0.347  0.53
H 1.230 -3.565 -0.852  0.19
H 1.014 -3.091 0.826  0.01
H 3.421 3.982 1.570  0.59
H 6.017 4.847 1.456  0.40
H 8.221 3.753 0.283  0.36
H 7.842 2.671 -1.067  0.31
H 8.186 2.000 0.524  0.27
N -7.326 -2.647 -3.161  -0.54
C -6.059 -2.665 -2.623  1.09
C -4.948 -2.928 -3.435  -0.78
C -3.686 -3.003 -2.884  -0.53
C -3.528 -2.817 -1.518  -0.16
C -4.613 -2.556 -0.695  -0.56
C -5.873 -2.475 -1.247  -0.78
S -1.904 -2.869 -0.840  1.73
O -1.072 -3.746 -1.609  -0.74
O -2.013 -3.111 0.563  -0.75
N -1.287 -1.235 -1.070  1.01
C -0.444 -1.072 -2.203  -1.34
N 0.573 -0.243 -1.971  0.35
C 1.429 -0.051 -2.973  -0.05
C 1.275 -0.697 -4.184  -1.30
C 0.171 -1.516 -4.326  -0.78
N -0.706 -1.695 -3.338  0.03
H -7.407 -2.563 -4.159  0.20
H -8.057 -2.215 -2.627  0.20
H -5.090 -3.075 -4.499  0.31
H -2.810 -3.194 -3.488  0.43
H -4.457 -2.420 0.369  0.48
H -6.731 -2.269 -0.618  0.31
H 2.241 0.639 -2.781  0.40
H 1.979 -0.551 -4.991  0.48
H -0.045 -2.044 -5.246  0.53
S -3.139 -0.730 2.969  -0.54
C -1.718 -1.413 3.717  0.91
C -1.602 -2.003 4.963  -0.45
C -0.355 -2.464 5.363  -0.78
C 0.750 -2.318 4.527  -1.30
C 0.636 -1.726 3.282  0.05
C -0.613 -1.268 2.853  -1.18
N -0.885 -0.656 1.659  0.78
C -2.182 -0.343 1.542  0.62
C -2.808 0.125 0.360  -0.12
C -3.990 0.915 0.423  -0.27
C -4.632 1.341 -0.711  -1.26
C -4.140 1.001 -1.980  -1.33
C -3.012 0.202 -2.077  -0.17
C -2.341 -0.241 -0.946  0.81
H -2.466 -2.107 5.607  0.43